# Job
Now print all of the lines further down verbatim.

# Source
=====
[1]
VASP calculation (PBE) on a relaxed structure of NaMg6BO7.

As for the energy above the most stable polymorph in this dataset: 142 meV/atom. The formation energy from the elements comes out at -33.47 eV per formula unit. As for the magnetic moment: 0.67 μB/cell. The energy with MP2020 corrections comes out at -85.7 eV per formula unit.

a = 4.2314 Å, b = 4.2314 Å, c = 8.9078 Å
α = 90.00°, β = 90.00°, γ = 90.00°
Closest atoms and distances in Å follow each position.
Space group P4mm (No. 99)
Asymmetric unit:
1 Na 0.0000 0.0000 0.0000 x1  5 O 2.12-2.24
2 Mg 0.0000 0.0000 0.5208 x1  5 O 2.03-2.12
3 Mg 0.0000 0.5000 0.2311 x2  3 O 2.04-2.14
4 Mg 0.0000 0.5000 0.7665 x2  6 O 2.09-2.16
5 Mg 0.5000 0.5000 0.4911 x1  5 O 1.99-2.14
6 B 0.5000 0.5000 0.9598 x1  1 O 1.39
7 O 0.0000 0.0000 0.7483 x1  5 Mg 2.03-2.12, 1 Na 2.24
8 O 0.0000 0.5000 0.0017 x2  2 Mg 2.04-2.09, 2 Na 2.12, 2 B 2.15
9 O 0.0000 0.5000 0.5244 x2  5 Mg 2.12-2.16
10 O 0.5000 0.5000 0.2681 x1  5 Mg 1.99-2.14
11 O 0.5000 0.5000 0.8040 x1  1 B 1.39



[2]
VASP calculation (PBE) on a relaxed structure of NaMgBP2O11.

The formation energy from the elements comes out at -29.36 eV per formula unit. As for the magnetic moment: 0.01 μB/cell.

a = 9.9864 Å, b = 9.9864 Å, c = 14.9261 Å
α = 90.00°, β = 90.00°, γ = 120.00°
Closest atoms and distances in Å follow each position.
Space group P6_122 (No. 178)
Asymmetric unit:
1 Na 0.2567 0.5134 0.2500 x6  4 O 2.23-2.43
2 Mg 0.0216 0.5108 0.0833 x6  4 O 1.96-1.97
3 B 0.1595 0.3189 0.7500 x6  4 O 1.49
4 P 0.1532 0.3813 0.9282 x12  4 O 1.53-1.58
5 O 0.0000 0.2167 0.3333 x6  2 O 1.30
6 O 0.0054 0.2193 0.9403 x12  1 B 1.49, 1 P 1.56
7 O 0.0811 0.3778 0.5398 x12  1 P 1.53
8 O 0.1095 0.3405 0.3714 x12  1 O 1.30
9 O 0.1359 0.5076 0.9764 x12  1 P 1.53
10 O 0.1763 0.4243 0.8250 x12  1 B 1.49, 1 P 1.58



[3]
VASP calculation (PBE) on a relaxed structure of Mg14NbB.

As for the energy above the most stable polymorph in this dataset: 7 meV/atom. The formation energy from the elements comes out at 3.78 eV per formula unit. As for the magnetic moment: 0.00 μB/cell.

a = 10.0296 Å, b = 6.0991 Å, c = 10.8655 Å
α = 90.00°, β = 90.00°, γ = 90.00°
Closest atoms and distances in Å follow each position.
Space group Amm2 (No. 38)
Asymmetric unit:
1 Mg 0.0000 0.0000 0.0000 x2  12 Mg 3.05-3.19
2 Mg 0.0000 0.0000 0.4986 x2  12 Mg 3.05-3.20
3 Mg 0.0000 0.2480 0.2514 x4  12 Mg 3.02-3.23
4 Mg 0.2516 0.0000 0.6622 x4  1 Nb 3.01, 11 Mg 3.05-3.17
5 Mg 0.2640 0.0000 0.1588 x4  1 B 2.94, 11 Mg 3.00-3.22
6 Mg 0.2661 0.2464 0.9188 x8  1 B 2.92, 1 Nb 2.97, 10 Mg 2.97-3.23
7 Mg 0.5000 0.2452 0.7513 x4  8 Mg 2.97-3.11, 2 Nb 3.06-3.17, 2 B 3.07-3.16
8 Nb 0.5000 0.0000 0.5061 x2  10 Mg 2.97-3.17, 2 B 3.05
9 B 0.5000 0.0000 0.9983 x2  10 Mg 2.92-3.16, 2 Nb 3.05



[4]
VASP calculation (PBE) on a relaxed structure of Mg14NbB.

As for the energy above the most stable polymorph in this dataset: 0 meV/atom. The formation energy from the elements comes out at 3.67 eV per formula unit. As for the magnetic moment: 0.00 μB/cell.

a = 6.2096 Å, b = 6.2096 Å, c = 9.9048 Å
α = 90.00°, β = 90.00°, γ = 120.00°
Closest atoms and distances in Å follow each position.
Space group P-6m2 (No. 187)
Asymmetric unit:
1 Mg 0.0000 0.0000 0.2429 x2  12 Mg 3.02-3.11
2 Mg 0.0200 0.5100 0.2569 x6  8 Mg 2.92-3.14, 1 B 2.94, 1 Nb 3.05
3 Mg 0.3305 0.1652 0.5000 x3  10 Mg 3.04-3.13, 2 B 3.10
4 Mg 0.3403 0.1702 0.0000 x3  10 Mg 3.02-3.17, 2 Nb 3.11
5 Nb 0.3333 0.6667 0.0000 x1  12 Mg 3.05-3.11
6 B 0.3333 0.6667 0.5000 x1  12 Mg 2.94-3.10



[5]
VASP calculation (PBE) on a relaxed structure of Mg14NiB.

As for the energy above the most stable polymorph in this dataset: 54 meV/atom. The formation energy from the elements comes out at 3.06 eV per formula unit. As for the magnetic moment: 0.00 μB/cell.

a = 6.2059 Å, b = 6.2059 Å, c = 9.8116 Å
α = 90.00°, β = 90.00°, γ = 120.00°
Closest atoms and distances in Å follow each position.
Space group P-6m2 (No. 187)
Asymmetric unit:
=====

# Worked solution
[1]
VASP calculation (PBE) on a relaxed structure of NaMg6BO7.

As for the energy above the most stable polymorph in this dataset: 142 meV/atom. The formation energy from the elements comes out at -33.47 eV per formula unit. As for the magnetic moment: 0.67 μB/cell. The energy with MP2020 corrections comes out at -85.7 eV per formula unit.

a = 4.2314 Å, b = 4.2314 Å, c = 8.9078 Å
α = 90.00°, β = 90.00°, γ = 90.00°
Closest atoms and distances in Å follow each position.
Space group P4mm (No. 99)
Asymmetric unit:
1 Na 0.0000 0.0000 0.0000 x1  5 O 2.12-2.24
2 Mg 0.0000 0.0000 0.5208 x1  5 O 2.03-2.12
3 Mg 0.0000 0.5000 0.2311 x2  3 O 2.04-2.14
4 Mg 0.0000 0.5000 0.7665 x2  6 O 2.09-2.16
5 Mg 0.5000 0.5000 0.4911 x1  5 O 1.99-2.14
6 B 0.5000 0.5000 0.9598 x1  1 O 1.39
7 O 0.0000 0.0000 0.7483 x1  5 Mg 2.03-2.12, 1 Na 2.24
8 O 0.0000 0.5000 0.0017 x2  2 Mg 2.04-2.09, 2 Na 2.12, 2 B 2.15
9 O 0.0000 0.5000 0.5244 x2  5 Mg 2.12-2.16
10 O 0.5000 0.5000 0.2681 x1  5 Mg 1.99-2.14
11 O 0.5000 0.5000 0.8040 x1  1 B 1.39



[2]
VASP calculation (PBE) on a relaxed structure of NaMgBP2O11.

The formation energy from the elements comes out at -29.36 eV per formula unit. As for the magnetic moment: 0.01 μB/cell.

a = 9.9864 Å, b = 9.9864 Å, c = 14.9261 Å
α = 90.00°, β = 90.00°, γ = 120.00°
Closest atoms and distances in Å follow each position.
Space group P6_122 (No. 178)
Asymmetric unit:
1 Na 0.2567 0.5134 0.2500 x6  4 O 2.23-2.43
2 Mg 0.0216 0.5108 0.0833 x6  4 O 1.96-1.97
3 B 0.1595 0.3189 0.7500 x6  4 O 1.49
4 P 0.1532 0.3813 0.9282 x12  4 O 1.53-1.58
5 O 0.0000 0.2167 0.3333 x6  2 O 1.30
6 O 0.0054 0.2193 0.9403 x12  1 B 1.49, 1 P 1.56
7 O 0.0811 0.3778 0.5398 x12  1 P 1.53
8 O 0.1095 0.3405 0.3714 x12  1 O 1.30
9 O 0.1359 0.5076 0.9764 x12  1 P 1.53
10 O 0.1763 0.4243 0.8250 x12  1 B 1.49, 1 P 1.58



[3]
VASP calculation (PBE) on a relaxed structure of Mg14NbB.

As for the energy above the most stable polymorph in this dataset: 7 meV/atom. The formation energy from the elements comes out at 3.78 eV per formula unit. As for the magnetic moment: 0.00 μB/cell.

a = 10.0296 Å, b = 6.0991 Å, c = 10.8655 Å
α = 90.00°, β = 90.00°, γ = 90.00°
Closest atoms and distances in Å follow each position.
Space group Amm2 (No. 38)
Asymmetric unit:
1 Mg 0.0000 0.0000 0.0000 x2  12 Mg 3.05-3.19
2 Mg 0.0000 0.0000 0.4986 x2  12 Mg 3.05-3.20
3 Mg 0.0000 0.2480 0.2514 x4  12 Mg 3.02-3.23
4 Mg 0.2516 0.0000 0.6622 x4  1 Nb 3.01, 11 Mg 3.05-3.17
5 Mg 0.2640 0.0000 0.1588 x4  1 B 2.94, 11 Mg 3.00-3.22
6 Mg 0.2661 0.2464 0.9188 x8  1 B 2.92, 1 Nb 2.97, 10 Mg 2.97-3.23
7 Mg 0.5000 0.2452 0.7513 x4  8 Mg 2.97-3.11, 2 Nb 3.06-3.17, 2 B 3.07-3.16
8 Nb 0.5000 0.0000 0.5061 x2  10 Mg 2.97-3.17, 2 B 3.05
9 B 0.5000 0.0000 0.9983 x2  10 Mg 2.92-3.16, 2 Nb 3.05



[4]
VASP calculation (PBE) on a relaxed structure of Mg14NbB.

As for the energy above the most stable polymorph in this dataset: 0 meV/atom. The formation energy from the elements comes out at 3.67 eV per formula unit. As for the magnetic moment: 0.00 μB/cell.

a = 6.2096 Å, b = 6.2096 Å, c = 9.9048 Å
α = 90.00°, β = 90.00°, γ = 120.00°
Closest atoms and distances in Å follow each position.
Space group P-6m2 (No. 187)
Asymmetric unit:
1 Mg 0.0000 0.0000 0.2429 x2  12 Mg 3.02-3.11
2 Mg 0.0200 0.5100 0.2569 x6  8 Mg 2.92-3.14, 1 B 2.94, 1 Nb 3.05
3 Mg 0.3305 0.1652 0.5000 x3  10 Mg 3.04-3.13, 2 B 3.10
4 Mg 0.3403 0.1702 0.0000 x3  10 Mg 3.02-3.17, 2 Nb 3.11
5 Nb 0.3333 0.6667 0.0000 x1  12 Mg 3.05-3.11
6 B 0.3333 0.6667 0.5000 x1  12 Mg 2.94-3.10



[5]
VASP calculation (PBE) on a relaxed structure of Mg14NiB.

As for the energy above the most stable polymorph in this dataset: 54 meV/atom. The formation energy from the elements comes out at 3.06 eV per formula unit. As for the magnetic moment: 0.00 μB/cell.

a = 6.2059 Å, b = 6.2059 Å, c = 9.8116 Å
α = 90.00°, β = 90.00°, γ = 120.00°
Closest atoms and distances in Å follow each position.
Space group P-6m2 (No. 187)
Asymmetric unit: